**Wanted:**
Repeat everything underneath unchanged.

**Contents:**
Arrangement 1

This record from the OMol25 dataset describes C2HClF2S in the gas phase. The level of theory is wB97M-V/def2-TZVPD.

Cartesian coordinates (Å):
F1 0.469 -1.464 -0.683
C1 0.599 -0.253 -0.143
F2 0.936 -0.606 1.363
C2 -0.683 0.460 0.019
S1 -0.764 2.059 0.185
Cl1 -2.005 -0.451 -0.420
H1 1.448 0.256 -0.321

Values from the calculation:
- highest occupied orbital energy (eV) = -9.9293
- SMILES string = FC(F)C(=S)Cl
- E_LUMO (eV) = -1.58
- frontier orbital gap (eV) = 8.4

Arrangement 2

This record from the OMol25 dataset describes 2 unconnected molecules or ions with the total composition C2HClF2S. The level of theory is wB97M-V/def2-TZVPD.

Cartesian coordinates (Å):
C1 -0.128 -0.782 -0.077
C2 -1.372 -0.791 0.637
F1 -1.512 0.128 1.571
F2 -2.083 -1.854 0.905
S1 0.604 -1.955 -0.902
Cl1 -2.499 0.366 -1.225
H1 0.286 0.311 -0.031

Values from the calculation:
- highest occupied orbital energy (eV) = -10.1578
- E_LUMO (eV) = -2.84
- frontier orbital gap (eV) = 7.3

The structure with the most favorable energy is arrangement 1; the runner-up is 0.786 eV above it.

Arrangement 1

This record from the OMol25 dataset describes 4 unconnected molecules or ions with the total composition C2H10O4. The level of theory is wB97M-V/def2-TZVPD.

Cartesian coordinates (Å):
C1 1.739 0.711 -0.770
C2 1.480 -0.669 -1.124
O1 0.133 -1.087 -0.668
H1 2.285 0.878 0.125
H2 1.429 1.590 -1.265
H3 1.549 -1.079 -2.156
H4 -0.523 -0.340 -0.662
H5 -0.868 -1.513 1.982
H6 -2.075 -1.010 1.204
O2 -1.828 -1.486 2.042
H7 -1.112 1.491 0.868
H8 0.275 1.345 0.510
O3 -0.239 1.869 1.139
H9 -2.547 0.479 -0.620
H10 2.110 -1.341 -0.511
O4 -1.808 0.162 -0.095

Values from the calculation:
- highest occupied orbital energy (eV) = -9.3659
- E_LUMO (eV) = -4.75
- frontier orbital gap (eV) = 4.6

Arrangement 2

This record from the OMol25 dataset describes 4 unconnected molecules or ions with the total composition C2H10O4. The level of theory is wB97M-V/def2-TZVPD.

Cartesian coordinates (Å):
C1 -1.161 -1.104 0.714
C2 -0.437 -0.825 1.986
O1 0.759 -0.852 2.034
H1 -1.506 -2.138 0.778
H2 -2.057 -0.503 0.602
H3 -0.492 -0.836 -0.101
H4 -1.055 -0.586 2.863
O2 1.090 1.669 0.406
H5 1.031 0.877 0.962
H6 1.740 2.239 0.841
O3 -1.038 1.429 -1.679
H7 -1.208 2.233 -1.218
H8 -0.114 1.286 -1.437
O4 0.652 -1.001 -2.456
H9 -0.099 -0.604 -2.952
H10 1.390 -0.396 -2.663

Values from the calculation:
- highest occupied orbital energy (eV) = -10.1496
- SMILES string = CC=O.O.O.O
- E_LUMO (eV) = 0.66
- frontier orbital gap (eV) = 10.8

The structure with the most favorable energy is arrangement 2; the runner-up is 5.963 eV above it.

Arrangement 1

This record from the OMol25 dataset describes a molecular structure, C5H7N2. The level of theory is wB97M-V/def2-TZVPD.

Cartesian coordinates (Å):
C1 -0.526 -0.552 1.404
C2 -0.071 0.191 -0.414
C3 -1.202 -0.205 0.288
C4 -2.420 -0.396 -0.365
C5 2.413 0.383 0.109
N1 0.691 -0.372 1.627
N2 1.104 0.018 0.427
H1 -0.043 0.497 -1.370
H2 -2.232 -0.837 -1.316
H3 -2.711 0.691 -0.527
H4 -3.287 -0.834 0.143
H5 2.722 1.357 0.468
H6 3.126 -0.347 0.510
H7 2.439 0.406 -0.984

Values from the calculation:
- highest occupied orbital energy (eV) = -15.2472
- net charge = +1
- E_LUMO (eV) = -7.91
- frontier orbital gap (eV) = 7.3

Arrangement 2

This record from the OMol25 dataset describes a gas-phase ion, C5H7N2 (charge +1). The level of theory is wB97M-V/def2-TZVPD.

Cartesian coordinates (Å):
C1 -1.579 -1.506 1.196
C2 -1.857 -2.604 1.797
C3 1.034 0.512 0.149
C4 -0.297 0.680 1.105
C5 0.179 -0.381 -1.788
N1 0.574 0.622 -1.147
N2 -1.025 -0.485 0.800
H1 1.609 1.408 0.302
H2 1.696 -0.459 0.323
H3 0.012 0.645 2.148
H4 -0.791 1.647 0.840
H5 0.189 -1.405 -1.376
H6 -0.298 -0.188 -2.707
H7 0.554 1.514 -1.643

Values from the calculation:
- highest occupied orbital energy (spin up / spin down) (eV) = -12.9925 / -12.9443
- net charge = +1
- E_LUMO (spin up / spin down) (eV) = -5.85 / -5.63
- frontier orbital gap (spin up / spin down) (eV) = 7.1 / 7.3

**Here it is:**
Arrangement 1

This record from the OMol25 dataset describes C2HClF2S in the gas phase. The level of theory is wB97M-V/def2-TZVPD.

Cartesian coordinates (Å):
F1 0.469 -1.464 -0.683
C1 0.599 -0.253 -0.143
F2 0.936 -0.606 1.363
C2 -0.683 0.460 0.019
S1 -0.764 2.059 0.185
Cl1 -2.005 -0.451 -0.420
H1 1.448 0.256 -0.321

Values from the calculation:
- highest occupied orbital energy (eV) = -9.9293
- SMILES string = FC(F)C(=S)Cl
- E_LUMO (eV) = -1.58
- frontier orbital gap (eV) = 8.4

Arrangement 2

This record from the OMol25 dataset describes 2 unconnected molecules or ions with the total composition C2HClF2S. The level of theory is wB97M-V/def2-TZVPD.

Cartesian coordinates (Å):
C1 -0.128 -0.782 -0.077
C2 -1.372 -0.791 0.637
F1 -1.512 0.128 1.571
F2 -2.083 -1.854 0.905
S1 0.604 -1.955 -0.902
Cl1 -2.499 0.366 -1.225
H1 0.286 0.311 -0.031

Values from the calculation:
- highest occupied orbital energy (eV) = -10.1578
- E_LUMO (eV) = -2.84
- frontier orbital gap (eV) = 7.3

The structure with the most favorable energy is arrangement 1; the runner-up is 0.786 eV above it.

Arrangement 1

This record from the OMol25 dataset describes 4 unconnected molecules or ions with the total composition C2H10O4. The level of theory is wB97M-V/def2-TZVPD.

Cartesian coordinates (Å):
C1 1.739 0.711 -0.770
C2 1.480 -0.669 -1.124
O1 0.133 -1.087 -0.668
H1 2.285 0.878 0.125
H2 1.429 1.590 -1.265
H3 1.549 -1.079 -2.156
H4 -0.523 -0.340 -0.662
H5 -0.868 -1.513 1.982
H6 -2.075 -1.010 1.204
O2 -1.828 -1.486 2.042
H7 -1.112 1.491 0.868
H8 0.275 1.345 0.510
O3 -0.239 1.869 1.139
H9 -2.547 0.479 -0.620
H10 2.110 -1.341 -0.511
O4 -1.808 0.162 -0.095

Values from the calculation:
- highest occupied orbital energy (eV) = -9.3659
- E_LUMO (eV) = -4.75
- frontier orbital gap (eV) = 4.6

Arrangement 2

This record from the OMol25 dataset describes 4 unconnected molecules or ions with the total composition C2H10O4. The level of theory is wB97M-V/def2-TZVPD.

Cartesian coordinates (Å):
C1 -1.161 -1.104 0.714
C2 -0.437 -0.825 1.986
O1 0.759 -0.852 2.034
H1 -1.506 -2.138 0.778
H2 -2.057 -0.503 0.602
H3 -0.492 -0.836 -0.101
H4 -1.055 -0.586 2.863
O2 1.090 1.669 0.406
H5 1.031 0.877 0.962
H6 1.740 2.239 0.841
O3 -1.038 1.429 -1.679
H7 -1.208 2.233 -1.218
H8 -0.114 1.286 -1.437
O4 0.652 -1.001 -2.456
H9 -0.099 -0.604 -2.952
H10 1.390 -0.396 -2.663

Values from the calculation:
- highest occupied orbital energy (eV) = -10.1496
- SMILES string = CC=O.O.O.O
- E_LUMO (eV) = 0.66
- frontier orbital gap (eV) = 10.8

The structure with the most favorable energy is arrangement 2; the runner-up is 5.963 eV above it.

Arrangement 1

This record from the OMol25 dataset describes a molecular structure, C5H7N2. The level of theory is wB97M-V/def2-TZVPD.

Cartesian coordinates (Å):
C1 -0.526 -0.552 1.404
C2 -0.071 0.191 -0.414
C3 -1.202 -0.205 0.288
C4 -2.420 -0.396 -0.365
C5 2.413 0.383 0.109
N1 0.691 -0.372 1.627
N2 1.104 0.018 0.427
H1 -0.043 0.497 -1.370
H2 -2.232 -0.837 -1.316
H3 -2.711 0.691 -0.527
H4 -3.287 -0.834 0.143
H5 2.722 1.357 0.468
H6 3.126 -0.347 0.510
H7 2.439 0.406 -0.984

Values from the calculation:
- highest occupied orbital energy (eV) = -15.2472
- net charge = +1
- E_LUMO (eV) = -7.91
- frontier orbital gap (eV) = 7.3

Arrangement 2

This record from the OMol25 dataset describes a gas-phase ion, C5H7N2 (charge +1). The level of theory is wB97M-V/def2-TZVPD.

Cartesian coordinates (Å):
C1 -1.579 -1.506 1.196
C2 -1.857 -2.604 1.797
C3 1.034 0.512 0.149
C4 -0.297 0.680 1.105
C5 0.179 -0.381 -1.788
N1 0.574 0.622 -1.147
N2 -1.025 -0.485 0.800
H1 1.609 1.408 0.302
H2 1.696 -0.459 0.323
H3 0.012 0.645 2.148
H4 -0.791 1.647 0.840
H5 0.189 -1.405 -1.376
H6 -0.298 -0.188 -2.707
H7 0.554 1.514 -1.643

Values from the calculation:
- highest occupied orbital energy (spin up / spin down) (eV) = -12.9925 / -12.9443
- net charge = +1
- E_LUMO (spin up / spin down) (eV) = -5.85 / -5.63
- frontier orbital gap (spin up / spin down) (eV) = 7.1 / 7.3